Fighting the Next War David J Allen, Registrar and Deputy Chief Executive 12 July 2011
Coverage News and updates from Services & Colleges Fighting the Next War: White Paper – key issues for Exeter From RAE to REF Making the Research Council cut Partnerships
MORE CONGRATULATIONS! JEREMY LINDLEY UK/Europe Managing Director, INTO University Partnerships
Niamh Lamond Chief Executive, Tremough Campus Services Professor Robert van de Noort Dean, College of Social Sciences and International Studies Professor Stephen Rippon Dean of the Faculty of Graduate Research Adele Wordsworth Events Manager Appointments
UNIVERSITY LEAGUE TABLES Times Good University Guide: 1.Oxford 2.Cambridge 3.LSE 4.Imperial College 5.UCL =6.Durham =6.St Andrews 8.Warwick 9.Lancaster 10.Exeter England’s Ivy League*: 1.Oxford 2.Cambridge 3.Durham 4.LSE 5.Bristol 6.Exeter 7.Warwick 8.Imperial College 9.UCL Sunday Times * Sunday Times “As a consequence, about a dozen universities, which principally recruit from the 65,000 students in this top band, will largely operate outside the quota system. This will free these top institutions to do as they wish. This grouping will include Oxford, Cambridge and University College London. High-prestige institutions from outside the Russell Group of research-intensive universities, such as Exeter, will join them.” Chris Cook, Education Correspondent, Financial Times (2 nd July) THE Table of Tables Exeter Top 10 for the first time
University Strategy
The Forum and Library Student Residences Capital Programme
Recognition and remuneration for staff Launch of Staff Association – Sept 2011 Local bargaining? Job Security University bonus for 2011/12 Rewarding our Staff
Proposals for change to address the challenges of 2012 Key features: The addition of a week in the autumn term to adopt a week model Introduction of a two week summer programme at the end of the summer term for all first year students Further development to be done; with detailed proposals for the summer programme Academic Year 2012/13
Government HE White Paper published on 28 June Themes: Control of student numbers Intention to create a market Residual HEFCE funding Key Information Sets – driving up our data and ‘intelligence’ Encouraging efficiency and savings De-regulation Students at the Heart of the System
The AAB World The new elite University league vs. the squeezed middle AAB by College / Subject Balance between Home / International and UG/PG when no quota constraint Do we want to grow – implications for SSRs, student experience and infrastructure? Widening Participation commitments and access agreement Importance of branding and reputation Partnerships and Shared Services Key Issues for Exeter
Records of crystals, as found in the file:
┌──
No. 1
## BeAs2W (SCAN)

Data for a PBEsol-optimized structure of BeAs2W.

abc: 4.2761 4.2761 3.1851
angles: 90.00 90.00 99.19
Last column: nearest neighbours and their distance in Å.
Element x y z (fractional)
Be: 0.0000 0.0000 0.0000  8 As 2.67, 2 W 2.77
As: 0.0000 0.5000 0.5000  4 W 2.67, 4 Be 2.67, 2 As 2.77
As: 0.5000 0.0000 0.5000  4 W 2.67, 4 Be 2.67, 2 As 2.77
W: 0.5000 0.5000 0.0000  8 As 2.67, 2 Be 2.77

VASP energy in eV per formula unit: -112.3
Formation enthalpy at 0 K in eV per atom: 0.5201

No. 2
## KNbP2Pt (SCAN)

Data for a PBEsol-optimized structure of KNbP2Pt.

abc: 4.8116 4.8116 5.0850
angles: 90.00 90.00 90.00
Last column: nearest neighbours and their distance in Å.
Element x y z (fractional)
K: 0.0000 0.0000 0.0000  4 Nb 3.40, 8 P 3.50
Nb: 0.5000 0.5000 0.0000  2 Pt 2.54
P: 0.0000 0.5000 0.5000  2 Pt 2.41
P: 0.5000 0.0000 0.5000  2 Pt 2.41
Pt: 0.5000 0.5000 0.5000  4 P 2.41, 2 Nb 2.54

VASP energy in eV per formula unit: -129.1
Formation enthalpy at 0 K in eV per atom: 0.6673

No. 3
## Li2TcO3 (SCAN)

Data for a PBEsol-optimized structure of Li2TcO3.

abc: 4.7682 4.7682 10.1349
angles: 94.45 94.45 119.94
Last column: nearest neighbours and their distance in Å.
Element x y z (fractional)
Li: 0.0000 0.5000 0.5000  6 O 2.03-2.08
Li: 0.0831 0.9169 0.7500  6 O 1.97-1.98
Li: 0.1586 0.3179 0.9999  6 O 1.99-2.12
Li: 0.3179 0.1586 0.4999  6 O 1.99-2.12
Li: 0.5000 0.0000 0.0000  6 O 2.03-2.08
Li: 0.6821 0.8414 0.5001  6 O 1.99-2.12
Li: 0.8414 0.6821 0.0001  6 O 1.99-2.12
Li: 0.9169 0.0831 0.2500  6 O 1.97-1.98
Tc: 0.2513 0.7487 0.2500  6 O 2.02
Tc: 0.4162 0.5838 0.7500  6 O 2.02
Tc: 0.5838 0.4162 0.2500  6 O 2.02
Tc: 0.7487 0.2513 0.7500  6 O 2.02
O: 0.0427 0.2022 0.6292  4 Li 1.97-2.08, 2 Tc 2.02
O: 0.1231 0.6321 0.8721  4 Li 1.97-2.11, 2 Tc 2.02
O: 0.2022 0.0427 0.1292  4 Li 1.97-2.08, 2 Tc 2.02
O: 0.2834 0.4486 0.3722  4 Li 1.98-2.12, 2 Tc 2.02
O: 0.3679 0.8769 0.6279  4 Li 1.97-2.11, 2 Tc 2.02
O: 0.4486 0.2834 0.8722  4 Li 1.98-2.12, 2 Tc 2.02
O: 0.5514 0.7166 0.1278  4 Li 1.98-2.12, 2 Tc 2.02
O: 0.6321 0.1231 0.3721  4 Li 1.97-2.11, 2 Tc 2.02
O: 0.7166 0.5514 0.6278  4 Li 1.98-2.12, 2 Tc 2.02
O: 0.7978 0.9573 0.8708  4 Li 1.97-2.08, 2 Tc 2.02
O: 0.8769 0.3679 0.1279  4 Li 1.97-2.11, 2 Tc 2.02
O: 0.9573 0.7978 0.3708  4 Li 1.97-2.08, 2 Tc 2.02

VASP energy in eV per formula unit: -70.2

~~~~~

# YZr3Tl PBE optimized geometry
# Energy of formation (eV/atom): 1.31
# Calculated volume (Å³ per atom): 28.8
# Magnetic moment (μB per formula unit): 1.38
data_YZr3Tl
_chemical_formula_sum 'Y1 Zr3 Tl1'
_cell_length_a 5.2395
_cell_length_b 5.2395
_cell_length_c 5.2395
_cell_angle_alpha 90.00
_cell_angle_beta 90.00
_cell_angle_gamma 90.00
_space_group_name_H-M_alt 'P m -3 m'
_space_group_IT_number 221
_space_group_name_Hall '-P 4 2 3'
loop_
_atom_site_label
_atom_site_type_symbol
_atom_site_fract_x
_atom_site_fract_y
_atom_site_fract_z
Y1 Y 0.0000 0.0000 0.0000
Zr1 Zr 0.0000 0.0000 0.5000
Tl1 Tl 0.5000 0.5000 0.5000

~~~~~

1.
└──
Research Strategy From RAE 2008 to REF 2014 Making the cut with the Research Councils Accelerating Infrastructure Tranche 2 and considering Tranche 3 Research led teaching Key Issues for Exeter (continued)
“Expanding the understanding and imagination of students is a great task. It can be done only by people whose own understandings and imagination are in good order, which is the reason why good teaching and the desire to contribute to a subject go together.” Simon Blackburn, Professor of Philosophy University of Cambridge, THE July Research-Led Teaching
Strong, independent University free of Government control Making our own way in the New World More to do on ‘regulation to trust’ with Colleges Taking stock and looking forward Confident….but not complacent Fighting the Next War
Thank you And finally…